Missed wisdom of Lorraine Patten

Sitting doing nothing and browsing the Net I came across the article by Lorraine Patten on Dragondoor, Navigating Girevoy Sport Training. I was always under the impression that Lorraine follows AKC methodology of long timed sets. This article showed that I was wrong, and from what I've seen around, Lorraine's methodology is the most scientifically sound. So, what's so different about it? You can read the article at http://www.dragondoor.com/articler/mode3/416/ Here I am only going to go through points that drew my attention.

Next to the entry, the page also holds calculated crystals
........
Na2PuCrO8: theoretical PXRD pattern (CuKα), based on the PBE+U geometry in Alexandria.
Lines closer than 0.1° are merged.

Top 10 peaks for 10 to 80 degrees two-theta, by intensity:
two_theta, d [Å], intensity, hkl
15.79, 5.611, 100, 1 0 0
27.53, 3.239, 39, 1 1 0
22.59, 3.936, 34, 1 0 1
36.26, 2.477, 25, 0 1 2
54.56, 1.682, 23, 1 2 2
46.13, 1.968, 20, 2 0 2
32.03, 2.794, 13, 1 1 1
45.83, 1.980, 12, 2 1 1
35.90, 2.501, 12, 2 0 1
16.05, 5.522, 11, 0 0 1

Cell: 6.479 6.479 5.522 Å, 90.00 90.00 120.00°
Positions (direct):
Na: 0.333 0.667 0.229
Na: 0.667 0.333 0.771
Pu: 0.000 0.000 0.500
Cr: 0.000 0.000 0.000
O: 0.131 0.262 0.252
O: 0.131 0.869 0.252
O: 0.262 0.131 0.748
O: 0.333 0.667 0.751
O: 0.667 0.333 0.249
O: 0.738 0.869 0.252
O: 0.869 0.131 0.748
O: 0.869 0.738 0.748
........

First of all, this methodology alternates between three phases of training: strength, volume and GS-specific work. During strength phase Lorraine does squats, deadlifts and otherbasic lifts for two months, with no snatching during the first month. During volume phase that also lasts two months volume is built. Interestingly, Lorraine is the first Westerner who mentions working one ar at a time. The only other place where I have seen this method mentioned is one of the Russian GS forums.

Finally - GS-specific work, and this phase lasts four to six weeks max. During this phase Lorraine does max sets. Again, she often works one arm at a time: left to the max, long rest, then right to the max.

Final important point is that GS requires continuous analysis: what is your weakness and how you can address it.

As I said, this article is the first example of a structured GS program I have seen anywhere except from Russian sources. In fact, it is the first example of what can be called Block Training in GS, which I have not seen anywhere, full stop. And this methodology works: it was mentioned in the article that Lorraine did 126 reps of snatches at GS competition in San Diego in 2007. Lorraine is a dentist and fits the profile of the audience this blog is aimed for, those over 40, and this makes the article particularly valuable. One thing is to read about methods used by some 20 year old champion, quite another to discover the method that worked for someone who started GS later in life and achieved good results. Thanks for sharing your experience Lorraine!


Ataraxium said...

Cool find Eugene. I am currently in the 2nd phase of my own GS training that is fairly similar in that it follows a basic strength, volume, refinement/GS/competition schedule.

Nice to see something other than progressive AKC stuff.

hunashaman said...

Hi Eugene

What is your email address? I promise I won't spam you but I would really like to have some chats with you that might not be for general consumption. I am currently following a high volume (as opposed to timed sets) methodology and my numbers are climbing steadily. My email address is hunashaman@mweb.co.za if you would like to get in touch. Regards. Johan

Unknown said...

Smet, do you remember that about a year ago you said you'd begun translating Faleev's "Anti-McRoberts" but then stopped after Pavel's Faleev article?

Would you consider finishing the project? Or giving us one of your digests?

Many thanks,

### Misplaced records of crystals
┌──
1.
Starting from a PBE-relaxed structure, the X-ray diffraction stick pattern of HgSb3Pb6 was simulated for Cu Kα (λ = 1.5418 Å).
Neutral-atom scattering factors, no anomalous dispersion.

```
data_HgSb3Pb6
_chemical_formula_sum 'Hg2 Sb6 Pb12'
_symmetry_space_group_name_H-M 'P 1 21/m 1'
_symmetry_Int_Tables_number 11
_symmetry_space_group_name_Hall '-P 2yb'
_cell_length_a 11.335
_cell_length_b 4.075
_cell_length_c 13.567
_cell_angle_alpha 90.00
_cell_angle_beta 98.77
_cell_angle_gamma 90.00
loop_
_atom_site_label
_atom_site_fract_x
_atom_site_fract_y
_atom_site_fract_z
Hg1 0.097 0.250 0.466
Sb1 0.132 0.750 0.949
Sb2 0.279 0.250 0.855
Sb3 0.469 0.250 0.256
Pb1 0.002 0.250 0.724
Pb2 0.159 0.250 0.141
Pb3 0.229 0.750 0.665
Pb4 0.300 0.750 0.353
Pb5 0.405 0.250 0.553
Pb6 0.424 0.750 0.074
```

The 6 most intense peaks (15° ≤ 2θ ≤ 90°), by intensity:
- (1 1 -3), d = 2.986 Å, 29.93 deg, I 1000
- (3 1 1), d = 2.639 Å, 33.97 deg, I 614
- (4 0 -2), d = 2.737 Å, 32.72 deg, I 318
- (2 0 4), d = 2.701 Å, 33.17 deg, I 318
- (0 2 0), d = 2.037 Å, 44.47 deg, I 186
- (2 0 -6), d = 2.194 Å, 41.14 deg, I 175

***

2.
Starting from a PBE-relaxed structure, the X-ray diffraction stick pattern of Hg5Sb2Pb3 was simulated for Cu Kα (λ = 1.5418 Å).
Neutral-atom scattering factors, no anomalous dispersion.

```
data_Hg5Sb2Pb3
_chemical_formula_sum 'Hg10 Sb4 Pb6'
_symmetry_space_group_name_H-M 'P -1'
_symmetry_Int_Tables_number 2
_symmetry_space_group_name_Hall '-P 1'
_cell_length_a 7.718
_cell_length_b 9.419
_cell_length_c 9.531
_cell_angle_alpha 106.79
_cell_angle_beta 108.27
_cell_angle_gamma 101.98
loop_
_atom_site_label
_atom_site_fract_x
_atom_site_fract_y
_atom_site_fract_z
Hg1 0.100 0.341 0.364
Hg2 0.204 0.476 0.727
Hg3 0.255 0.983 0.778
Hg4 0.307 0.803 0.015
Hg5 0.399 0.232 0.626
Sb1 0.143 0.581 0.171
Sb2 0.196 0.089 0.154
Pb1 0.098 0.896 0.366
Pb2 0.345 0.340 0.024
Pb3 0.370 0.719 0.591
```

The 6 most intense peaks (15° ≤ 2θ ≤ 90°), by intensity:
- (1 -4 1), d = 2.343 Å, 38.42 deg, I 1000
- (1 2 -3), d = 2.871 Å, 31.15 deg, I 960
- (0 2 2), d = 2.540 Å, 35.34 deg, I 857
- (-2 2 2), d = 2.683 Å, 33.39 deg, I 808
- (0 2 -3), d = 2.893 Å, 30.91 deg, I 785
- (2 0 1), d = 2.826 Å, 31.67 deg, I 619

***

3.
Starting from a PBE-relaxed structure, the X-ray diffraction stick pattern of Hg4SbPb4 was simulated for Cu Kα (λ = 1.5418 Å).
Neutral-atom scattering factors, no anomalous dispersion.

```
data_Hg4SbPb4
_chemical_formula_sum 'Hg8 Sb2 Pb8'
_symmetry_space_group_name_H-M 'I 4/m m m'
_symmetry_Int_Tables_number 139
_symmetry_space_group_name_Hall '-I 4 2'
_cell_length_a 11.077
_cell_length_b 11.077
_cell_length_c 4.224
_cell_angle_alpha 90.00
_cell_angle_beta 90.00
_cell_angle_gamma 90.00
loop_
_atom_site_label
_atom_site_fract_x
_atom_site_fract_y
_atom_site_fract_z
Hg1 0.000 0.340 0.000
Sb1 0.000 0.000 0.000
Pb1 0.161 0.161 0.500
```

The 6 most intense peaks (15° ≤ 2θ ≤ 90°), by intensity:
- (3 0 1), d = 2.780 Å, 32.20 deg, I 1000
└──

Smet said...

Jason, ok,I will try to give it a go. Even though it is not related to GS.

Unknown said...

Hurray! Thanks.